View Full Version : S13 Coupe W/ Battle Damage!

08-16-2004, 05:20 PM
So i had a tire blow out on I-75 going up to G-Ville. This is the end result.



[1]
Here is an optimized crystal structure of Li2PmAg from Alexandria via LeMat-Bulk. Energies are from PBE-GGA.

Values from the calculation:
The space group is No. 225. The value obtained for the energy above the most stable polymorph in this dataset is 125 meV per atom. Its formation energy is 0.0330 eV/atom. The crystal system is cubic.

abc: 4.901 4.901 4.901
angles: 60.00 60.00 60.00
Fractional coordinates of all 4 atoms:
Li1 0.250 0.250 0.250
Li2 0.750 0.750 0.750
Pm1 0.000 0.000 0.000
Ag1 0.500 0.500 0.500



[2]
Here is an optimized crystal structure of TbPm3Y from Alexandria via LeMat-Bulk. Energies are from PBE-GGA.

Values from the calculation:
The space group is No. 12. The value obtained for the energy above the most stable polymorph in this dataset is 0 meV per atom. Its formation energy is 0.0139 eV/atom. The crystal system is monoclinic.

abc: 6.257 6.257 11.459
angles: 90.14 90.14 48.27
Fractional coordinates of all 10 atoms:
Tb1 0.050 0.050 0.150
Tb2 0.950 0.950 0.850
Pm1 0.249 0.249 0.750
Pm2 0.350 0.350 0.050
Pm3 0.450 0.450 0.350
Pm4 0.550 0.550 0.650
Pm5 0.650 0.650 0.950
Pm6 0.751 0.751 0.250
Y1 0.150 0.150 0.450
Y2 0.850 0.850 0.550



[3]
Here is an optimized crystal structure of AsBrCl2 from Alexandria via LeMat-Bulk. Energies are from PBE-GGA.

Values from the calculation:
The space group is No. 47. The value obtained for the raw formation energy is 0.383 eV/atom. The value obtained for the energy above the most stable polymorph in this dataset is 1002 meV per atom. The crystal system is orthorhombic.

abc: 3.587 4.181 7.274
angles: 90.00 90.00 90.00
Fractional coordinates of all 4 atoms:
As1 0.000 0.000 0.000
Br1 0.500 0.000 0.500
Cl1 0.000 0.500 0.500
Cl2 0.500 0.500 0.000



[4]
Here is an optimized crystal structure of Nd4MgHg from Alexandria via LeMat-Bulk. Energies are from PBE-GGA.

Values from the calculation:
The space group is No. 123. Its formation energy is 0.1259 eV/atom. The crystal system is tetragonal.

abc: 5.187 5.187 7.889
angles: 90.00 90.00 90.00
Fractional coordinates of all 6 atoms:
Nd1 0.000 0.500 0.241
Nd2 0.000 0.500 0.759
Nd3 0.500 0.000 0.241
Nd4 0.500 0.000 0.759
Mg1 0.000 0.000 0.500
Hg1 0.500 0.500 0.000



[5]
Here is an optimized crystal structure of PrCoH4 from Alexandria via LeMat-Bulk. Energies are from PBE-GGA.

Values from the calculation:
The space group is No. 15. The value obtained for the total DFT energy (no corrections) is -0.3321 Ry per atom. The crystal system is monoclinic.

abc: 5.671 5.671 4.785
angles: 114.95 114.95 49.91
Fractional coordinates of all 12 atoms:
Pr1 0.250 0.750 0.750
Pr2 0.750 0.250 0.250
Co1 0.000 0.500 0.000
Co2 0.500 0.000 0.500
H1 0.167 0.669 0.168
H2 0.250 0.252 0.750
H3 0.252 0.250 0.250
H4 0.331 0.833 0.332
H5 0.669 0.167 0.668
H6 0.748 0.750 0.750
H7 0.750 0.748 0.250
H8 0.833 0.331 0.832



[6]
Here is an optimized crystal structure of PtCO2F from Alexandria via LeMat-Bulk. Energies are from PBE-GGA.

Values from the calculation:
So much for the crystal structures

My baby...



08-16-2004, 06:08 PM
my god... the entre fender is trashed. but weird how it didnt even touch the door. and you seem pretty calm about it. not even a small rant. id be furious. good luck with getting it fixed

08-16-2004, 06:26 PM
this is to short blah blah

08-16-2004, 06:46 PM
aint that some shit. the tire tread was just big enough to hit the entire fender, not the easily replaceable door. thanks tire.

08-16-2004, 06:49 PM

damn that sucks

08-16-2004, 07:56 PM
that does suck....
hope you get it fixed soon
now you'll have to add tires blowing up to your list of common 240 problems.. hehe :drama:

woah new smilies!!

08-16-2004, 08:27 PM
that's freaking INSANE. i've seen whole fenders get shredded by 4x4 F250's with mud grips blowing out.... crazy.

08-17-2004, 12:20 AM
hahah battle damage. right.

more like 'tire blowout' damage

hell it looks more like your tire blew, you lost control and smacked something.. I dont know how a tire could push in sheetmetal like that. That would require ALOT of force, more than the perpendicular forces of a blownout tire could provide.

What'd you smack?

08-17-2004, 01:03 AM
dude...wtf did you hit? how you getting that fixed?

08-17-2004, 01:08 AM
Looks like you drifted into Rosie O'Donnell. :2f2f: + :doh: = :Ownedd:

08-17-2004, 01:14 AM
Looks like you drifted into Rosie O'Donnell. :2f2f: + :doh: = :Ownedd:

hahahaha. that was cold.

who takes the credit for the new smilies ( if they are new, never seen them before) because they are kickass.. i like how this :2f2f: is labled 2f2f.

08-17-2004, 01:14 AM
time for wide rear overfender.

08-17-2004, 01:41 AM
who takes the credit for the new smilies ( if they are new, never seen them before) because they are kickass.. i like how this :2f2f: is labled 2f2f.

Well, Sykikchimp recommended the 'drivin' smiley, so I uploaded it and called it 2f2f in honor of westboroughpimp's suggestion.
There's 4 others too.. but I only announced them to the Premium members.
:cj: :drama: :bowrofl: and :keke:

08-17-2004, 03:41 AM
hahaha thats awesome im digging the 3rd one. i shall become a premium member one of these days. i have just recently spent more time on the boards so it would be worth the money. or least to help out mark. 10+ hours a day on forums is hell on the fingers but im improving on my typing speed. ok you guys dont care. back to topic. sorry

08-17-2004, 08:34 AM
didnt hit a thing. it blew out all of a sudden, and there was this incredible thumping sound. the back end flew out a bit, and i got it under control pretty quickly. Apparantly the belt ripped off the tire, and was loose. it was smacking around, and thats what hit the underside of the rear bumper ( i assume ). since it was loose, it just kept smacking around while i slowed down, slowly denting the shit out of my side.

08-17-2004, 08:55 AM
i dont think thats a wide rear overfender fix it kinda smash. thats a whole new rear quarter followed by a 3k$ fix it kinda smash. good luck fixin that because its not easy or cheap and you might end up junkin the car... :-/ that sucks man. unless you have some big cash in it or its just too hard to transfer parts to another 240 thats the point where you might just say part it out time...

08-17-2004, 10:05 AM
No, I'm still gonna have to call BS on this.
Take a look at this:
This is what happens when a 4500lb SUV reverses into the side of a 240sx at about 5mph, and pushes it about 3-4 feet laterally.
Please note that the damage is LESS extensive than nissantuner22's.

Also note that the damage at the extreme rear of nissantuner22's is in an 'in and up' configuration. Even if you were running Super Swampers, the damage would still be FORWARD of where it is, and get less severe as you get away from the hub of the wheel.

Now, sure, fastbacks and coupes are different, especially in the rear. However, they remain structurally VERY similar in the wheel arch area. There are three layers of sheetmetal there. One for the wheel arch, one vertical support, and one of the outer skin. Now check this out:

the 2 circled areas are the result of 20+ minutes of me hammering with a 10lb piece of iron (a jackstand top) I was doing this so her car could be driveable with her wheels on there and not rub the tire and cause a blowout. Now, I'm not a big dude, but I was applying some WICKED force to that sheetmetal. All 3 layers. And that was the result.. Me moving it out from the body maybe 3-4mm. Now sure, tires have a goodly amount of mass, but even if a tire weighed 200 pounds instead of 20-30, the force it'd apply to the body would be radially away from the hub! There isn't a way for the OUTSIDE of the body to be caved in like it is. Let's say that the wheelwell sheetmetal was caved in to the point that it started to take the other sheetmetal with it. the first place that would start caving in would be the arch of the wheelwell, since that's the nearest meeting point.
That's still not happening.
Last, not that the caving goes all the way to the doorseam, just like nissantuner22's.
Sorry to have to call :bs: on you like this, but I've shredded tires and seen plenty of shredded tires and blowouts on S13s, and the only time they ever get dents like that (in MY experience) is when the car hits something.

08-17-2004, 10:50 AM
oh without a doubt he hit something and it would take some serious evidence to convince me otherwhise. i dont care that he hit anything and either just didnt mention it or doesnt want to look bad (surviving a tire blow out at high speeds and not killing yourself is an acomplishment in itself) theres no way the tire would fly off then dent in and downward. you can tell the car hit something sideways and then the suspension compressed on that side making the angle of the hit at the door. the bottom of the back i think could have been a result of the blowout because of where it is but i mean its more than obvious the top more frontal dent was something else (more than likely a stationary object like a high rise guard rail of some sort.

08-17-2004, 11:40 AM
whoa! whats it like to be wrong guys?

I should have saved the tire to show in more detail just what I think took place.

Going 100MPH, I felt a strange vibration. ( which I now credit to the belt moving in my shitty rear tire )

few seconds later, BAM! the outside tread of my tire was ripped off, smacking the hell out of my car. It almost sounded like a drum roll, ( which is from the tread hitting first the bottom bumper area, flying out the side of the wheelwheel, and landing back on the car near the door area. Instead of the piece of tread ripping off, it continued to beat the side of my car. The pictures above are after about 10 minutes of hard hand scrubbing trying to get the rubber off of my paint. notice in the first picture black residue. thats actual tread that was being ripped across the paint. Its even more evident in the second picture where i didnt spend much time at all, since its not in plain view like the side of the car. Any certain shot views you guys would like? Be happy to supply them, as this is being a very educational expierence for you guys.

Not trying to start nothing, just saying you guys are wrong.

Oh, and mr.meph, how much did it run to fix your baby? your car looks like it took the hit pretty well.

08-17-2004, 07:32 PM
that's not my car, it belongs to a friend of mine.
I was just doing her a favor.

08-17-2004, 07:44 PM
holy shit man, I slid my coupe into a giant rock at about 10mph and did less damage than you

08-17-2004, 08:06 PM
G-ville playa! Where all the REAL gangsta roll (mmmmhmm!)

08-17-2004, 11:01 PM
I cannot believe some of you guys. Yeah, he wanted to be cool so he lied about a tire blowout.
I have seen tire blowouts snap a human body in half (albeit not a car tire), so I can definatly see how it could cause that damage.

08-17-2004, 11:31 PM
that's nadine's car...

08-18-2004, 12:01 AM
Join Date: Apr 2003
: VA
Posts: 1

Lurk much?

Lazy - and?

08-18-2004, 03:30 PM
its ironic that he calls it battle damage but his tire blew. usually its referred to drifting/racing? but whatever

08-18-2004, 03:59 PM
i just figured its a weird angle. i still dont understand how a tire can really do that and circle around then put hundreds of points of downward/inward force on the side of the car... very strange...

08-18-2004, 09:37 PM
the tread flopping around at high rates of wheel rotation apparantly.

anyhow i took apart my interior today so i can get inside access to the dent. I got the vast majority of it out, am pretty impressed with myself. the rear bumper portion though, i have no idea how to fix.

08-18-2004, 10:43 PM
^ get in your trunk and take the plastic shit out. your jack anything that can get in the way. you can put your hand all the way down to the bumper. im sure you could get a hammer down there.

08-19-2004, 09:17 AM
hmmm will try that. thanks!

08-19-2004, 04:27 PM
remove the tire, and stick the oem jack between the bent sheet metal and the fender wall and use that to push out the fender, it worked for me..

08-19-2004, 04:32 PM

learn from my mistake and dont do it teh same way i did. Tho i still feel confident taht I can save it.

08-20-2004, 12:19 AM
thats a damn good idea i wish i thought of that when i had my other car!

08-20-2004, 03:58 PM
hyper, that can be easliy fixed by anybody thats good at welding. Of course, the top of the weld will have to be ground down flush with body, and use some bodyfiller, but it can be done

08-21-2004, 02:50 AM
yeah nice cheese gater on your fender man! even if you did do that^ it still looks like it took some structural integrity away. IMO

08-25-2004, 11:27 PM
I'll take dude man's side on this one. being a victim of a tire blowout in an awd eclipse cost me a front fender and it was nicely beat up. now mine was right after I had crossed the line for the 1/4 and my et speed was 128mph so I was probably doing about 125 when it blew out because I was about 10 ft from theline, almost cost me the whole car into the jersey wall, did a full 360 on the track and brought it back under control, scary as shit but only cost me a wheel, tire, and fender. the inertia in a tire is a decent amount, and you have to remember, the 4500 lb suv didn't apply 4500 pounds of force on there, it had inertia, yes, but at the same time the most it could have applied really is the inertia+ the actual tire torque ((engine torque output - drivetrain loss) x rear end gear ratio x final gear ratio)...... alright my brain hurts now, but OK

08-26-2004, 10:07 AM
over fenders ; )

08-26-2004, 02:49 PM
i just got a skin from nissan. gonna have it welded on.

08-27-2004, 11:29 AM
what kind of tires did you have on there ?? Firestones??

08-27-2004, 11:35 AM